Cloud-Shrouded Venus Revealed

Almost complete radar-mapping by spacecraft Magellan finds the planet is not Earth's twin

July 1, 1992

FOR scientists working with the Magellan planet-mapping spacecraft, their survey of cloud-shrouded Venus has been a concept-shattering revelation.

Venus is nearly as massive as Earth and has a similar composition. Planetary scientists were calling it "our sister planet" when Magellan reached it on Aug. 10, 1990.

Now that the spacecraft's cloud-penetrating radar has nearly finished its mapping mission, these scientists "have found out it's certainly not Earth's twin," says planetary geologist James W. Head of Brown University in Providence, R.I.

Magellan's ability to produce images that are 10 times sharper than any seen before has revealed what Dr. Head calls "a distinctly different" world.

• Here the piece breaks off for records of crystals:
........
Starting from a crystal structure in the Materials Project, relaxed with GGA-PBE, the powder diffractogram of W2C was simulated for a wavelength of 1.5418 Å.
Peak positions follow from Bragg's law for the DFT cell and can differ from measured ones.

Atomic structure:
Cell: 5.2569 5.2569 4.7794 Å, 90.00 90.00 120.00°
Sites, in units of the cell vectors:
W 0.0000 0.3320 0.2479
W 0.0000 0.6680 0.7521
W 0.3320 0.0000 0.2479
W 0.3320 0.3320 0.7521
W 0.6680 0.0000 0.7521
W 0.6680 0.6680 0.2479
C 0.0000 0.0000 0.0000
C 0.3333 0.6667 0.5000
C 0.6667 0.3333 0.5000

The 10 most intense peaks (2θ from 10° to 90°), most intense first:
two_theta  d/Å  I (rel.)
39.1  2.303  100
37.6  2.390  23
34.1  2.628  21
74.0  1.281  20
68.9  1.362  19
61.1  1.518  19
51.7  1.768  17
74.9  1.267  15
84.1  1.152  4
80.4  1.195  3

=====

Starting from a crystal structure in the Materials Project, relaxed with GGA-PBE, the powder diffractogram of Ba3Fe2N4 was simulated for a wavelength of 1.5418 Å.
Peak positions follow from Bragg's law for the DFT cell and can differ from measured ones.

Atomic structure:
Cell: 6.1073 10.1212 10.1231 Å, 90.00 90.00 90.00°
Sites, in units of the cell vectors:
Ba 0.1052 0.1582 0.0845
Ba 0.1052 0.3418 0.4155
Ba 0.2500 0.0000 0.4012
Ba 0.2500 0.5000 0.0988
Ba 0.3948 0.6582 0.4155
Ba 0.3948 0.8418 0.0845
Ba 0.6052 0.1582 0.9155
Ba 0.6052 0.3418 0.5845
Ba 0.7500 0.0000 0.5988
Ba 0.7500 0.5000 0.9012
Ba 0.8948 0.6582 0.5845
Ba 0.8948 0.8418 0.9155
Fe 0.1461 0.2500 0.7500
Fe 0.2500 0.0000 0.7323
Fe 0.2500 0.5000 0.7677
Fe 0.3539 0.7500 0.7500
Fe 0.6461 0.2500 0.2500
Fe 0.7500 0.0000 0.2677
Fe 0.7500 0.5000 0.2323
Fe 0.8539 0.7500 0.2500
N 0.0292 0.0871 0.8264
N 0.0292 0.4129 0.6736
N 0.1625 0.6418 0.8652
N 0.1625 0.8582 0.6348
N 0.3375 0.1418 0.6348
N 0.3375 0.3582 0.8652
N 0.4708 0.5871 0.6736
N 0.4708 0.9129 0.8264
N 0.5292 0.0871 0.1736
N 0.5292 0.4129 0.3264
N 0.6625 0.6418 0.1348
N 0.6625 0.8582 0.3652
N 0.8375 0.1418 0.3652
N 0.8375 0.3582 0.1348
N 0.9708 0.5871 0.3264
N 0.9708 0.9129 0.1736

The 10 most intense peaks (2θ from 10° to 90°), most intense first:
two_theta  d/Å  I (rel.)
30.3  2.954  100
27.9  3.201  91
35.2  2.551  73
31.6  2.835  61
35.5  2.531  53
30.6  2.923  45
31.9  2.809  31
42.6  2.122  30
47.3  1.922  29
54.4  1.687  27

* * * * *

1.
Diffraction record for Ga. The X-ray powder pattern is calculated, not measured: it uses DFT lattice parameters and positions (GGA-PBE) and Cu Kα.
Neutral-atom scattering factors, no anomalous dispersion.

Top 6 peaks for 2θ from 10° to 90°, in order of falling intensity:
2theta  I (rel.)
34.7  100
46.1  47
35.3  45
38.6  37
45.0  28
54.3  22

Crystal structure
```
Ga
1.0
1.321 -4.671 0.000
1.321 4.671 0.000
0.000 0.000 3.105
Ga
2
Cartesian
1.321 3.461 2.328
1.321 -3.461 0.776
```

2.
Diffraction record for Na3AsSe4. The X-ray powder pattern is calculated, not measured: it uses DFT lattice parameters and positions (GGA-PBE) and Cu Kα.
........

When Magellan project scientist R. Stephen Saunders, of the California Institute of Technology's Jet Propulsion Laboratory (JPL) in Pasadena, Calif., makes the same point, he also notes that "for the first time in human history, we've produced a [nearly complete] map of a planet the size of Earth."

One of Magellan's primary objectives was to map more than 95 percent of the Venusian surface. Its mapping now covers more than 97 percent of that surface. Moreover, it has imaged 20 percent of the surface in stereo - taking matching images from different angles to aid three-dimensional analysis.

Magellan radar scientist Gordon H. Pettengill, of the Massachusetts Institute of Technology in Cambridge, Mass., expresses the radar team's satisfaction when he says, "We've exceeded [our objectives] and then some!"

Venus, with Magellan in orbit around it, currently is passing behind the sun. When it reemerges as a brilliant evening "star" this autumn, controllers plan to change Magellan's orbit to fulfill the last of the mission's primary objectives. This is the task of making a detailed map of Venus's gravitational field.

The overfulfillment of Magellan's mapping objectives has been a tough technical challenge for the control team at JPL, which manages the mission for the US National Aeronautics and Space Administration (NASA).

Magellan began this year with a failed primary-data transmitter and a backup unit whose transmissions were degraded by a spurious whistle. Engineers learned to minimize the whistle's interference, however. They restored data transmission to half its usual rate.

The mission plan is laid out as a series of cycles. Each of these lasts 243 days, the time it takes for the planet to rotate once beneath the spacecraft's orbit. Magellan now is well into its third mapping cycle. Its radar images show surface details ranging in size from about 120 meters (390 feet) near the equator to 300 meters (980 feet) near the north pole. Previous American and Russian radar scans imaged details no finer than 1,000 to 2,400 meters (0.7 to 1.5 miles) across.

JPL's Dr. Saunders notes that Magellan now has produced a planetary map of Venus with sharper average detail than shown on any comparable map of Earth. Planetary geologist Head explains that you would have to drain the ocean to chart Earth in that detail.

Head notes that Magellan's images show Venus to be as geologically active a planet as is Earth. Also, like Earth, it appears to have remained geologically active throughout its history. Its features are not frozen in time as is the case with Mars and the moon, where tectonic activity generally ceased long ago. Beyond this the similarity ceases. Venus hides a distinctly unearthly face beneath its veil of cloud.

EARTH'S crust is shaped by continuous recycling. Its crust is broken into tectonic plates that move relative to one another. New crust wells up along volcanically active mid-ocean ridges. It spreads out horizontally from these ridges until in disappears back into the interior. This generally happens in deep-sea troughs where an oceanic plate dives beneath a continental plate.

Head explains that on Venus, "There doesn't seem to be much crustal recycling as known on Earth." The Venus surface appears to be evolving by building crust vertically as lava flows out of volcanoes or meteorite craters. This is more akin to what has happened on the moon and Mars than to the way Earth's surface evolves. It challenges Magellan scientists to try to decipher how Venusian tectonics actually work.

Craters on Venus offer a different kind of challenge. Head calls crater research a "growth area for Venus science." Magellan images show about a thousand impact craters. They generally seem to be in pristine condition. This is another difference between Earth and its erstwhile "twin."

"Earth is a water-damaged planet," Head explains. Erosion is so powerful it's hard to find good craters - especially large meteorite craters - to study. Venus is a dry planet with apparently little erosion. The surface appears to be some 500 million years old.

"The good news is that the surface is preserved so we can study it," says Head. But, he adds, "The bad news is that everything that happened in any one place is still there so it's confusing." He explains that it's like looking at a multiple-exposure photograph. With features one on top of another, it's hard to sort out what happened when. Nevertheless, he says, "Venus has given scientists a laboratory in which they can study what happens when impact craters occur."

Meanwhile, planetary geologists look forward to charting Venus's gravity. After the current radar-mapping cycle ends in mid-September, controllers plan to lower Magellan's orbit so its closest approach to Venus's surface will drop from 186 miles to 111 miles. This will increase its sensitivity to slight differences in the gravitational field due to the planet's makeup. The spacecraft will speed up or slow down slightly as it passes over varying subsurface densities. These speed changes will show up as sl ight frequency changes in Magellan's radio "carrier" signal, which is not degraded by the spurious whistle.

+++
Record 1
For Nd2TeO6, a DFT-relaxed cell (GGA-PBE, OQMD) gives the theoretical powder X-ray diffraction pattern in this record (a wavelength of 1.5418 Å).
Kinematic intensities with the Lorentz-polarization factor, no thermal factor.

Principal peaks in the range 2θ from 10° to 80°, sorted by position:
h k l	d (Å)	I/Imax
1 2 0	3.531	44
1 1 2	3.449	83
1 2 1	3.336	100
0 3 1	2.966	30
1 1 3	2.750	57
2 0 0	2.713	34

Cell: 5.426 9.301 10.188 Å, 90.00 90.00 90.00°
Space group P2_12_12_1 (No. 19)
Asymmetric unit:
1 Nd 0.027 0.104 0.460 (multiplicity 4)
2 Nd 0.032 0.217 0.863 (multiplicity 4)
3 Te 0.043 0.496 0.356 (multiplicity 4)
4 O 0.067 0.851 0.020 (multiplicity 4)
5 O 0.169 0.946 0.287 (multiplicity 4)
6 O 0.183 0.637 0.241 (multiplicity 4)
7 O 0.192 0.641 0.824 (multiplicity 4)
8 O 0.222 0.112 0.065 (multiplicity 4)
9 O 0.249 0.413 0.991 (multiplicity 4)

Record 2
For NdTl2O4, a DFT-relaxed cell (GGA-PBE, OQMD) gives the theoretical powder X-ray diffraction pattern in this record (a wavelength of 1.5418 Å).
Kinematic intensities with the Lorentz-polarization factor, no thermal factor.

Principal peaks in the range 2θ from 10° to 80°, sorted by position:
h k l	d (Å)	I/Imax
1 1 1	5.683	18
3 1 1	2.968	100
2 2 2	2.841	36
5 1 1	1.894	39
4 4 0	1.740	43
5 5 3	1.281	23

Cell: 9.842 9.842 9.842 Å, 90.00 90.00 90.00°
Space group Fd-3m (No. 227, origin choice 2)
Asymmetric unit:
1 Nd 0.125 0.125 0.125 (multiplicity 8)
2 Tl 0.000 0.000 0.500 (multiplicity 16)
3 O 0.008 0.008 0.742 (multiplicity 32)

Record 3
For NdTlO3, a DFT-relaxed cell (GGA-PBE, OQMD) gives the theoretical powder X-ray diffraction pattern in this record (a wavelength of 1.5418 Å).
Kinematic intensities with the Lorentz-polarization factor, no thermal factor.

Principal peaks in the range 2θ from 10° to 80°, sorted by position:
h k l	d (Å)	I/Imax
1 0 1	3.160	100
0 0 2	2.743	13
1 1 0	2.733	34
2 0 0	1.935	46
1 0 3	1.653	14
2 1 1	1.649	31

Cell: 3.865 3.865 5.486 Å, 90.00 90.00 90.00°
Space group P4mm (No. 99)
Asymmetric unit:
1 Nd 0.000 0.000 0.000 (multiplicity 1)
2 Tl 0.500 0.500 0.558 (multiplicity 1)
3 O 0.000 0.500 0.759 (multiplicity 2)
4 O 0.500 0.500 0.172 (multiplicity 1)

Record 4
For Nd3TmO6, a DFT-relaxed cell (GGA-PBE, OQMD) gives the theoretical powder X-ray diffraction pattern in this record (a wavelength of 1.5418 Å).
Kinematic intensities with the Lorentz-polarization factor, no thermal factor.

Principal peaks in the range 2θ from 10° to 80°, sorted by position:
h k l	d (Å)	I/Imax
2 0 2	3.438	47
2 1 1	3.118	100
1 1 3	3.033	45
3 -2 2	2.823	95
2 1 4	2.152	38
1 4 0	1.870	42

Cell: 9.8966 9.8966 11.5185 Å, 90.00 90.00 120.00°
Space group R-3 (No. 148, hexagonal axes)
Asymmetric unit:
1 Nd 0.0391 0.2662 0.2086 (multiplicity 18)
2 Tm 0.0000 0.0000 0.0000 (multiplicity 3)
3 Tm 0.0000 0.0000 0.5000 (multiplicity 3)
4 O 0.0275 0.1846 0.8773 (multiplicity 18)
5 O 0.0286 0.2119 0.4051 (multiplicity 18)

Record 5
+++
End of the calculated crystals:

The Magellan team would like to carry on this work through 1995. It should help in determining the underlying processes that shape Venus's puzzling surface. However, NASA currently plans to end the Magellan mission next April. Magellan scientists are appealing this decision. At this writing, NASA had not yet answered their appeal.